[Entries]
-- begin --
(1)
Computed, not measured: C3H6IPS in the gas phase in a non-equilibrium geometry, with ωB97M-V/def2-TZVPD.

The calculation puts the energy relative to the best compared isomer or geometry (same formula, charge and spin) at 0.000 eV. The HOMO-LUMO gap is 6.82 eV. The calculation puts the HOMO energy at -8.301 eV. The calculation puts the calculated total energy at -31431.77559 eV. Its SMILES is CC/P=C\SI.

Last column: natural (NBO) charge in e.
Cartesian coordinates (Å):
C (1.6714, 1.0246, 0.0308)  -0.82
C (-2.2162, -0.3518, -0.2609)  -0.61
C (-0.7785, -0.4054, 0.2458)  -0.73
P (-0.0167, 1.2865, 0.0423)  0.65
S (2.6371, -0.4460, 0.1858)  0.11
I (5.1184, -0.2098, 0.0027)  0.06
H (2.2693, 1.9173, -0.0828)  0.24
H (-2.2334, -0.1142, -1.3237)  0.21
H (-2.7203, -1.3029, -0.1104)  0.22
H (-2.7797, 0.4181, 0.2627)  0.21
H (-0.1948, -1.1504, -0.3008)  0.23
H (-0.7567, -0.6661, 1.3085)  0.23

***

(2)
Computed, not measured: 8 unconnected molecules or ions with the total composition C32H64O16S8 in a non-equilibrium geometry, with ωB97M-V/def2-TZVPD.

The calculation puts the energy relative to the best compared isomer or geometry (same formula, charge and spin) at 0.835 eV. The HOMO-LUMO gap is 9.66 eV. The calculation puts the HOMO energy at -9.666 eV. The calculation puts the calculated total energy at -153660.52064 eV. Its SMILES is O=S1(=O)CCCC1.O=S1(=O)CCCC1.O=S1(=O)CCCC1.O=S1(=O)CCCC1.O=S1(=O)CCCC1.O=S1(=O)CCCC1.O=S1(=O)CCCC1.O=S1(=O)CCCC1.

Last column: Löwdin charge in e.
Cartesian coordinates (Å):
C (-7.0901, 7.3073, 13.6537)  -0.21
C (-5.5733, 7.0784, 13.8700)  -0.19
C (-5.4594, 5.6396, 14.3480)  -0.23
S (-6.4972, 4.6814, 13.2100)  0.70
O (-7.0909, 3.5695, 13.9028)  -0.33
O (-5.7470, 4.5090, 11.9653)  -0.34
C (-7.7030, 6.0614, 13.0172)  -0.19
H (-7.3399, 8.1970, 13.0733)  0.08
H (-7.6077, 7.5622, 14.5820)  0.12
H (-5.3243, 7.7667, 14.6738)  0.10
H (-4.9906, 7.2185, 12.9629)  0.10
H (-5.8167, 5.4086, 15.3535)  0.11
H (-4.4833, 5.1467, 14.3331)  0.09
H (-8.5624, 5.7183, 13.5908)  0.10
H (-7.9163, 6.0981, 11.9503)  0.08
C (2.5146, 8.2583, 12.6970)  -0.21
C (0.9834, 8.1041, 12.6932)  -0.23
C (0.7027, 7.0342, 13.7215)  -0.22
S (1.9929, 5.7685, 13.5015)  0.70
O (1.5552, 4.6116, 12.7292)  -0.35
O (2.7719, 5.5779, 14.6986)  -0.32
C (3.0140, 6.8499, 12.3967)  -0.21
H (2.8790, 8.6750, 13.6361)  0.12
H (2.7635, 8.9863, 11.9217)  0.11
H (0.5730, 7.8327, 11.7225)  0.09
H (0.5670, 9.0802, 12.9426)  0.12
H (-0.2664, 6.6051, 13.9716)  0.10
H (1.0178, 7.3598, 14.7237)  0.10
H (2.7753, 6.6528, 11.3502)  0.07
H (4.0712, 6.6579, 12.5634)  0.10
C (-6.3830, 9.5827, 7.5219)  -0.21
C (-7.7981, 9.1907, 7.1218)  -0.21
C (-8.5283, 8.7672, 8.4076)  -0.20
S (-7.2414, 8.0115, 9.4529)  0.70
O (-7.4259, 6.5807, 9.3297)  -0.32
O (-7.1066, 8.7374, 10.7004)  -0.33
C (-5.8449, 8.4846, 8.4125)  -0.21
H (-6.4806, 10.5633, 7.9973)  0.12
H (-5.7721, 9.7447, 6.6331)  0.12
H (-7.7888, 8.3388, 6.4415)  0.12
H (-8.3769, 10.0431, 6.7685)  0.11
H (-9.2557, 7.9663, 8.3004)  0.10
H (-8.9457, 9.6091, 8.9578)  0.10
H (-5.5781, 7.5135, 7.9984)  0.09
H (-5.0525, 8.6930, 9.1317)  0.08
C (4.2754, 7.6092, 7.1848)  -0.22
C (3.8844, 7.1361, 8.5843)  -0.23
C (2.4290, 6.6789, 8.4631)  -0.22
S (1.6440, 8.0279, 7.5464)  0.67
O (1.1779, 9.0763, 8.4372)  -0.33
O (0.7346, 7.4896, 6.5650)  -0.32
C (3.1785, 8.5852, 6.7277)  -0.20
H (4.3080, 6.7509, 6.5075)  0.12
H (5.2897, 8.0046, 7.1919)  0.12
H (3.9367, 7.9894, 9.2679)  0.11
H (4.5488, 6.3745, 8.9873)  0.12
H (1.8596, 6.3358, 9.3239)  0.07
H (2.4078, 5.8260, 7.7775)  0.11
H (3.4223, 9.5755, 7.1171)  0.10
H (2.9680, 8.7437, 5.6733)  0.10
C (-1.5354, 4.1728, 10.7894)  -0.20
C (-0.5382, 5.0188, 9.9823)  -0.20
C (-1.3078, 6.2631, 9.5838)  -0.20
S (-2.4873, 6.6998, 10.9001)  0.71
O (-3.8263, 6.9304, 10.4015)  -0.32
O (-1.8659, 7.6180, 11.8460)  -0.34
C (-2.5067, 5.0133, 11.6379)  -0.17
H (-1.0312, 3.3700, 11.3337)  0.11
H (-2.1723, 3.5633, 10.1392)  0.09
H (-0.1776, 4.4352, 9.1393)  0.12
H (0.2621, 5.2413, 10.6945)  0.08
-- stop --

[Activity]
The reader should transcribe all of the listing further above without additions.

[Outcome]
(1)
Computed, not measured: C3H6IPS in the gas phase in a non-equilibrium geometry, with ωB97M-V/def2-TZVPD.

The calculation puts the energy relative to the best compared isomer or geometry (same formula, charge and spin) at 0.000 eV. The HOMO-LUMO gap is 6.82 eV. The calculation puts the HOMO energy at -8.301 eV. The calculation puts the calculated total energy at -31431.77559 eV. Its SMILES is CC/P=C\SI.

Last column: natural (NBO) charge in e.
Cartesian coordinates (Å):
C (1.6714, 1.0246, 0.0308)  -0.82
C (-2.2162, -0.3518, -0.2609)  -0.61
C (-0.7785, -0.4054, 0.2458)  -0.73
P (-0.0167, 1.2865, 0.0423)  0.65
S (2.6371, -0.4460, 0.1858)  0.11
I (5.1184, -0.2098, 0.0027)  0.06
H (2.2693, 1.9173, -0.0828)  0.24
H (-2.2334, -0.1142, -1.3237)  0.21
H (-2.7203, -1.3029, -0.1104)  0.22
H (-2.7797, 0.4181, 0.2627)  0.21
H (-0.1948, -1.1504, -0.3008)  0.23
H (-0.7567, -0.6661, 1.3085)  0.23

***

(2)
Computed, not measured: 8 unconnected molecules or ions with the total composition C32H64O16S8 in a non-equilibrium geometry, with ωB97M-V/def2-TZVPD.

The calculation puts the energy relative to the best compared isomer or geometry (same formula, charge and spin) at 0.835 eV. The HOMO-LUMO gap is 9.66 eV. The calculation puts the HOMO energy at -9.666 eV. The calculation puts the calculated total energy at -153660.52064 eV. Its SMILES is O=S1(=O)CCCC1.O=S1(=O)CCCC1.O=S1(=O)CCCC1.O=S1(=O)CCCC1.O=S1(=O)CCCC1.O=S1(=O)CCCC1.O=S1(=O)CCCC1.O=S1(=O)CCCC1.

Last column: Löwdin charge in e.
Cartesian coordinates (Å):
C (-7.0901, 7.3073, 13.6537)  -0.21
C (-5.5733, 7.0784, 13.8700)  -0.19
C (-5.4594, 5.6396, 14.3480)  -0.23
S (-6.4972, 4.6814, 13.2100)  0.70
O (-7.0909, 3.5695, 13.9028)  -0.33
O (-5.7470, 4.5090, 11.9653)  -0.34
C (-7.7030, 6.0614, 13.0172)  -0.19
H (-7.3399, 8.1970, 13.0733)  0.08
H (-7.6077, 7.5622, 14.5820)  0.12
H (-5.3243, 7.7667, 14.6738)  0.10
H (-4.9906, 7.2185, 12.9629)  0.10
H (-5.8167, 5.4086, 15.3535)  0.11
H (-4.4833, 5.1467, 14.3331)  0.09
H (-8.5624, 5.7183, 13.5908)  0.10
H (-7.9163, 6.0981, 11.9503)  0.08
C (2.5146, 8.2583, 12.6970)  -0.21
C (0.9834, 8.1041, 12.6932)  -0.23
C (0.7027, 7.0342, 13.7215)  -0.22
S (1.9929, 5.7685, 13.5015)  0.70
O (1.5552, 4.6116, 12.7292)  -0.35
O (2.7719, 5.5779, 14.6986)  -0.32
C (3.0140, 6.8499, 12.3967)  -0.21
H (2.8790, 8.6750, 13.6361)  0.12
H (2.7635, 8.9863, 11.9217)  0.11
H (0.5730, 7.8327, 11.7225)  0.09
H (0.5670, 9.0802, 12.9426)  0.12
H (-0.2664, 6.6051, 13.9716)  0.10
H (1.0178, 7.3598, 14.7237)  0.10
H (2.7753, 6.6528, 11.3502)  0.07
H (4.0712, 6.6579, 12.5634)  0.10
C (-6.3830, 9.5827, 7.5219)  -0.21
C (-7.7981, 9.1907, 7.1218)  -0.21
C (-8.5283, 8.7672, 8.4076)  -0.20
S (-7.2414, 8.0115, 9.4529)  0.70
O (-7.4259, 6.5807, 9.3297)  -0.32
O (-7.1066, 8.7374, 10.7004)  -0.33
C (-5.8449, 8.4846, 8.4125)  -0.21
H (-6.4806, 10.5633, 7.9973)  0.12
H (-5.7721, 9.7447, 6.6331)  0.12
H (-7.7888, 8.3388, 6.4415)  0.12
H (-8.3769, 10.0431, 6.7685)  0.11
H (-9.2557, 7.9663, 8.3004)  0.10
H (-8.9457, 9.6091, 8.9578)  0.10
H (-5.5781, 7.5135, 7.9984)  0.09
H (-5.0525, 8.6930, 9.1317)  0.08
C (4.2754, 7.6092, 7.1848)  -0.22
C (3.8844, 7.1361, 8.5843)  -0.23
C (2.4290, 6.6789, 8.4631)  -0.22
S (1.6440, 8.0279, 7.5464)  0.67
O (1.1779, 9.0763, 8.4372)  -0.33
O (0.7346, 7.4896, 6.5650)  -0.32
C (3.1785, 8.5852, 6.7277)  -0.20
H (4.3080, 6.7509, 6.5075)  0.12
H (5.2897, 8.0046, 7.1919)  0.12
H (3.9367, 7.9894, 9.2679)  0.11
H (4.5488, 6.3745, 8.9873)  0.12
H (1.8596, 6.3358, 9.3239)  0.07
H (2.4078, 5.8260, 7.7775)  0.11
H (3.4223, 9.5755, 7.1171)  0.10
H (2.9680, 8.7437, 5.6733)  0.10
C (-1.5354, 4.1728, 10.7894)  -0.20
C (-0.5382, 5.0188, 9.9823)  -0.20
C (-1.3078, 6.2631, 9.5838)  -0.20
S (-2.4873, 6.6998, 10.9001)  0.71
O (-3.8263, 6.9304, 10.4015)  -0.32
O (-1.8659, 7.6180, 11.8460)  -0.34
C (-2.5067, 5.0133, 11.6379)  -0.17
H (-1.0312, 3.3700, 11.3337)  0.11
H (-2.1723, 3.5633, 10.1392)  0.09
H (-0.1776, 4.4352, 9.1393)  0.12
H (0.2621, 5.2413, 10.6945)  0.08